Indian Historical Records Committee (IHRC)

National Archives of India is the Secretariat of Indian Historical Records Committee. The Indian Historical Records Committee is an all India Forum of creators, custodians and users of records which was set up in 1919 to advice the Government of India on all issues connected with the management of records and their use for historical research. The Committee is headed by the Union Minister of Culture and comprises members including nominees of the Government of India, representatives from Central/State Governments, Universities and Learned institutions. The Committee has so far held 63 sessions and the last (63rd) session was held on 18-19 December 2022 at Lucknow under the auspices of the Uttar Pradesh State Archives.


Constitition Of Indian Historical Records Committee

(As Approved  On 2 November 2017)


1. Background


The Indian Historical Records Commission (re-designated Indian Historical Records Committee), was set up by the Government of India in 1919 (vide Department of Education Resolution No.77, dated 21 March 1919) as a consulting body, whose opinion would carry weight with the public and which would make enquiries and recommendations regarding:

  • Treatment of archives for historical study
  • The scale and plan on which the cataloguing, the calendaring and reprinting of each class of documents should be undertaken
  • The sums required for encouraging research among, and publication of records
  • Selection of competent scholars for editing documents
  • The problems of public access to records

With a view to promoting active cooperation of the various State Governments in India as also the universities and learned institutions in the country in the activities of the Committee, the Government of India (vide their Department of Education, Health and Lands, Resolution No. F.92-9/40-E, dated 10 September 1941), took steps to reform the Constitution of the Committee by providing for the inclusion of nominees of the various State Governments in India as also those of the Universities and Learned Societies.

The INDIAN HISTORICAL RECORDS COMMITTEE (hereafter IHRC) has, over the years, contributed significantly to the growth of public interest in the conservation and use of archives. The Government of India recognizes that it was through the initiative of the IHRC and its different Committees that many new sources of information have been brought to light and saved for posterity, many collections of documents have been published and made accessible to scholars, facilities for the use of records have been materially enhanced and a new conscience has been aroused in the public mind in respect of the sanctity of historical evidence. While the Government of India notes with deep appreciation these and other achievements of the Committee, much work still remains to be done and that a host of important problems are still awaiting to be tackled. Very little systematic effort has been made to survey, describe, organize or make use of records in private custody, and particularly, those of institutional, religious or commercial origin. Lack of trained archivists continues seriously to impede the archival work in the country and the training facilities available in the National Archives of India have hardly stimulated an adequate response among the owners of archival holdings. The Government believes that these constitute very serious lacunae in the academic life of the nation and that greater and more whole-hearted cooperation between the custodians of records and historical materials on the one hand and their users on the other, is the only means by which these deficiencies could be removed.

In order to promote such cooperation the Government of India, in supersession of all earlier Resolutions on the same subject, is pleased to sanction a reconstitution of the IHRC on the following lines:


2. Composition


The IHRC shall consist of the following Members:


2.1. Ex-Officio Members

  • Minister of Culture, Government of India......... Chairperson
  • Secretary (Culture), Government of India......... Member
  • Director General of Archives............................. Member -Secretary


2.2. Nominees of the Government of India

10 eminent archivists and historians to be appointed by the Government of India on the basis of their specialized knowledge of the treatment of archives or their original contribution to the post-1600 period of Indian History.


2.3. Central Government Nominees

Three representatives of the following agencies of the Government of India:

  • Ministry of Home Affairs
  • Ministry of Defence
  • Department of Administrative Reforms and Public Grievances


2.4. Nominees of the State Governments/Union Territories Administrations


Representatives from all State Governments/ Union Territories Administrations that have an organized records repository of their own. These nominee should invariably be the custodian of the Archives of the State/ Union Territory.

2.5. Nominees of Universities


70 nominees from Universities in India teaching post-1600 period of Indian History and encouraging research and publication of original records, and co-operating with the IHRC in organizing its own archives.


2.6. Nominees of the Learned Institutions

20 nominees from Learned Institutions with proven contribution for encouraging historical research, publication and in conducting survey and exploration of records in private and semi-private custody.

Note (Paras 2.5 and 2.6): The nominees of the Universities, and Learned Institutions should be persons of academic distinction with considerable amount of original research work to their credit. All such nominees will become members of the IHRC only after their nominations have been approved and notified by the Government of India.


3. Term Of The IHRC


The Members of the Committee, other than ex-officio Members will be appointed for a term of five years as follows:

All appointments and re-appointments for a full term of five years will be en-bloc with effect from the same date. Vacancy due to resignation or otherwise which may occur during the said period of five years will not be filled for another term of five years but only for the unexpired period of the existing term.


4. Scope  Of The IHRC

  • To act as a forum for exchange between creators, custodians and users of archives and historical documents, of ideas and experiences relating to treatment, preservation and use of archives, and to make recommendations to appropriate bodies, official or non-official in this behalf.
  • To act as a forum for discussion on archives in relation to historical problems requiring investigation, particularly in relation to those on which little or no work has been done, and to hold Academic Sessions. At this Academic Session, papers based on newly discovered original records pertaining to the post-1600 period of Indian history be read and discussed. These papers should be written either by the Members of the IHRC or communicated through them if written by other scholars. All such papers should be circulated in advance after getting them approved by an EDITORIAL COMMITTEE to be constituted for the purpose (See Para 6.2 below).
  • To promote the salvaging and use of material in private and semi-public custody (including institutional, religious and business records) in collaboration with universities, libraries, museums, learned societies, and similar local bodies, and to act as a disseminator of information on the work done in this field.
  • To act generally as an intermediary between records and historical manuscript repositories on the one hand, and bodies interested in research on the other.
  • To publish proceedings and bulletins embodying reports on its activities and on other matters promoting its objectives.


5. Meeting Of The IHRC


The IHRC shall normally meet once a year at a place rich in archival materials being selected as the venue. Each session should include:

  • A Public Meeting devoted to the report to be presented by the Secretary on the archival progress in the country.
  • A Business Meeting for the discussion of the Secretary’s Report as also the problems relating to keeping and use of archives that may be referred to it by the members and for review of programmes undertaken by different bodies under its auspices.
  • Academic Session(s) for reading and discussion of research papers based on original records pertaining to the post-1600 period of Indian history. Such sessions shall be open to the interested public.

The Meetings of the IHRC are to be presided over by the ex-officio President. He shall however, have the right to nominate a senior Member of the IHRC to act as President in his absence.


6. Committees Of The IHRC


The IHRC may appoint one or more Committees to deal with the particular problems requiring investigation. Such Committees shall submit their reports to the Committee.


6.1. Standing Committee

The STANDING COMMITTEE shall be set up with the following composition and functions:


6.1.1. Composition

  • Secretary, Ministry of Culture, Government of India…..... Ex Officio Chairman
  • 5 Members of the IHRC to be nominated by the Government of India.............. Members
  • Director General of Archives.................. Ex-Officio Secretary
  • d. Deputy Director of Archives, National Archives of India (dealing with the Committee)............. Ex Officio Joint Secretary


6.1.2. Functions

The Standing Committee will review the action taken from time to time on the recommendations made by the IHRC, consider all reports and items referred to it, express its views on the agenda for the IHRC’s meeting, and perform such other functions as the Government of India or the President of the Committee may assign to it.

The Standing Committee will ordinarily meet twice a year.


6.2. Editorial Committee

The EDITORIAL COMMITTEE shall set up with the following composition and functions:


6.2.1. Composition

  • A Senior Member of the IHRC ………………………….. Chairman
  • Two members representing the fields of history/ archives …… Members
  • Director General of Archives.................. Member Secretary


6.2.2. Functions

The Editorial Committee will review all research papers submitted by the Members of the IHRC or communicated through them, if written by other scholars, for presentation at the Academic Session(s) of the IHRC.

It will also review all papers that are presented at the Academic Session(s) of the IHRC and recommend whether it has to be included in published Proceedings of the IHRC in full form or as an Abstract.

The Editorial Committee will ordinarily meet twice a year.

== What comes next are data records, not part of the page ==
********
Entry 1:
Computed, not measured: an optimized crystal structure of RbAlTe2Au at the PBE-GGA level of DFT.

Cell lengths 5.5900, 5.8840, 5.5900 Å; angles 90.00, 90.00, 90.00 degrees
Element x y z (fractional)
1 Te 0.5000 0.0000 0.0000
2 Te 0.0000 0.0000 0.5000
3 Rb 0.0000 0.5000 0.0000
4 Al 0.5000 0.5000 0.5000
5 Au 0.0000 0.0000 0.0000

## Properties
Space group: P4/mmm (123)
Calculated total energy, eV for the cell shown: -13.5
Formation energy from raw total energies, kJ/mol of atoms: 15.2
Size of the total moment, μB per atom: 0.000

Entry 2:
Computed, not measured: an optimized crystal structure of GdTmLuCd at the PBE-GGA level of DFT.

Cell lengths 5.3998, 5.3998, 5.3998 Å; angles 60.00, 60.00, 60.00 degrees
Element x y z (fractional)
1 Tm 0.2500 0.2500 0.2500
2 Gd 0.7500 0.7500 0.7500
3 Lu 0.0000 0.0000 0.0000
4 Cd 0.5000 0.5000 0.5000

## Properties
Space group: F-43m (216)
Calculated total energy, eV for the cell shown: -24.1
DFT formation energy, eV/atom: -0.0382
Size of the total moment, μB per atom: 1.917

Entry 3:
Computed, not measured: an optimized crystal structure of Li2GaBiS4 at the PBE-GGA level of DFT.

Cell lengths 6.3782, 6.9111, 8.5107 Å; angles 90.00, 90.00, 90.00 degrees
Element x y z (fractional)
1 Bi 0.4886 0.8280 0.0000
2 Bi 0.9886 0.1720 0.5000
3 S 0.3642 0.1955 0.0000
4 S 0.9109 0.8544 0.0000
5 S 0.8642 0.8045 0.5000
6 S 0.4109 0.1456 0.5000
7 S 0.3739 0.6624 0.2844
8 S 0.8739 0.3376 0.2156
9 S 0.3739 0.6624 0.7156
10 S 0.8739 0.3376 0.7844
11 Ga 0.0001 0.1790 0.0000
12 Ga 0.5001 0.8210 0.5000
13 Li 0.9941 0.6739 0.7524
14 Li 0.4941 0.3261 0.2524
15 Li 0.4941 0.3261 0.7476
16 Li 0.9941 0.6739 0.2476

## Properties
Space group: Pmn2_1 (31)
Calculated total energy, eV for the cell shown: -67.8
Formation energy from raw total energies, kJ/mol of atoms: -80.4
Size of the total moment, μB per atom: 0.000

Entry 4:
Computed, not measured: an optimized crystal structure of KTl2Ag at the PBE-GGA level of DFT.

Cell lengths 3.6917, 3.6917, 8.5292 Å; angles 90.00, 90.00, 90.01 degrees
Element x y z (fractional)
1 Ag 0.5000 0.5000 0.2500
2 K 0.5000 0.5000 0.7500
3 Tl 0.0000 0.0000 0.4470
4 Tl 0.0000 0.0000 0.0530

## Properties
Space group: P4/mmm (123)
Calculated total energy, eV for the cell shown: -8.8
DFT formation energy, eV/atom: -0.0213
Size of the total moment, μB per atom: 0.000


(P)
Computed, not measured: a geometry-optimized ScCuTcPb structure at the PBE level of DFT.

Geometry as extended XYZ:
```
4
Lattice="0.000 3.286 3.286 3.286 0.000 3.286 3.286 3.286 0.000" Properties=species:S:1:pos:R:3 pbc="T T T"
Sc 0.000 0.000 0.000
Cu 4.929 4.929 4.929
Tc 1.643 1.643 1.643
Pb 3.286 3.286 3.286
```

Results
Total moment ... 0.02 μB per cell

=====

(Q)
Computed, not measured: a geometry-optimized ScCuTcPb structure at the PBE level of DFT.

Geometry as extended XYZ:
```
4
Lattice="0.000 3.302 3.302 3.302 0.000 3.302 3.302 3.302 0.000" Properties=species:S:1:pos:R:3 pbc="T T T"
Sc 0.000 0.000 0.000
Cu 3.302 3.302 3.302
********


7. Travelling Allowance


The travelling allowance of the Ex-Officio President, Secretary, Ministry of Culture (Ex- Officio Chairman of the Standing Committee), the nominees of the Government of India, referred to in Para 2.2 and such members of the Standing Committee who are Government officials attending the meeting(s) of the IHRC and its Committees will be charged on the Central Revenues, and the expenditure for the same will be debitable to the same head as their pay.

Non-officials appointed by the Government of India as Members of the IHRC or its Committees will draw travelling allowances for attending meetings of the IHRC or its Committees at rates admissible to Grade-I Officers of the Central Government and daily allowances at the highest rate admissible to Grade-I Officers of the Central Government for respective localities. The expenditure will be met from the budget grant of the National Archives of India. The State Governments, the Universities and other Constituent Institutions will be required to bear the travelling allowances of their nominees. The travelling allowance for non-official members other than Central Government nominees who may be appointed to serve on any Committee of the IHRC will be paid at the same rate as those of non-official members appointed by the Central Government as Ordinary Members.